-- begin --
Version 1
Material: NaV4Cd3O12
Method: DFT, PBE with a Hubbard U
State: relaxed

Output
Theoretical density, g/cm3: 5.663
Magnetization, μB/cell: 2.991

Cell and atoms, written as CIF:
```
data_NaV4Cd3O12
_cell_length_a 5.3542
_cell_length_b 5.4007
_cell_length_c 7.6669
_cell_angle_alpha 90.38
_cell_angle_beta 90.38
_cell_angle_gamma 90.33
_space_group_name_H-M_alt 'P 1'
_space_group_IT_number 1
loop_
_space_group_symop_operation_xyz
'x,y,z'
loop_
_atom_site_label
_atom_site_fract_x
_atom_site_fract_y
_atom_site_fract_z
Na1 0.0000 0.0000 0.0000
V1 0.4832 0.9666 0.2359
V2 0.4874 0.9678 0.7455
V3 0.9855 0.4650 0.2518
V4 0.9946 0.4677 0.7542
Cd1 0.4885 0.4995 0.0017
Cd2 0.4998 0.4309 0.4980
Cd3 0.9803 0.9328 0.4978
O1 0.0781 0.4875 0.4945
O2 0.1982 0.7398 0.7911
O3 0.2128 0.7632 0.2145
O4 0.2980 0.2566 0.2057
O5 0.2998 0.2474 0.8014
O6 0.3976 0.9980 0.5018
O7 0.5703 0.9413 0.0111
O8 0.6922 0.6842 0.7115
O9 0.6933 0.6808 0.3040
O10 0.7800 0.1698 0.2982
O11 0.7986 0.1842 0.7110
O12 0.9105 0.4530 0.0130
```

***

Version 2
Material: NaV4Cd3O12
Method: DFT, PBE with a Hubbard U
State: relaxed

Output
Theoretical density, g/cm3: 5.698
Magnetization, μB/cell: 3.000

Cell and atoms, written as CIF:
```
data_NaV4Cd3O12
_cell_length_a 5.3482
_cell_length_b 7.6468
_cell_length_c 5.3875
_cell_angle_alpha 90.00
_cell_angle_beta 90.46
_cell_angle_gamma 90.00
_space_group_name_H-M_alt 'P 1 m 1'
_space_group_IT_number 6
loop_
_space_group_symop_operation_xyz
'x,y,z'
'x,-y,z'
loop_
_atom_site_label
_atom_site_fract_x
_atom_site_fract_y
_atom_site_fract_z
Na1 0.0000 0.0000 0.0000
V1 0.0049 0.2468 0.5305
V2 0.5073 0.2447 0.0315
Cd1 0.0121 0.5000 0.0651
Cd2 0.4994 0.5000 0.5682
Cd3 0.5122 0.0000 0.5008
O1 0.0949 0.0000 0.5556
O2 0.2078 0.2919 0.8270
O3 0.3095 0.2916 0.3217
O4 0.4373 0.0000 0.0553
O5 0.5912 0.5000 0.0109
O6 0.7004 0.2063 0.7469
O7 0.8002 0.2122 0.2489
O8 0.9213 0.5000 0.5110
```

***

Relative energy of each structure, in eV/atom: version 1 0.000; version 2 0.017.

***

Version 1
Material: V3CdO7
Method: DFT, PBE with a Hubbard U
State: relaxed

Output
Theoretical density, g/cm3: 3.888
Magnetization, μB/cell: 11.999

Cell and atoms, written as CIF:
```
data_V3CdO7
_cell_length_a 11.3643
_cell_length_b 10.5290
_cell_length_c 5.3852
_cell_angle_alpha 90.00
_cell_angle_beta 90.00
_cell_angle_gamma 90.00
_space_group_name_H-M_alt 'P n m a'
_space_group_IT_number 62
loop_
_space_group_symop_operation_xyz
'x,y,z'
'-x,-y,-z'
'-x+1/2,-y,z+1/2'
'x+1/2,y,-z+1/2'
'x+1/2,-y+1/2,-z+1/2'
'-x+1/2,y+1/2,z+1/2'
'-x,y+1/2,-z'
'x,-y+1/2,z'
loop_
_atom_site_label
_atom_site_fract_x
_atom_site_fract_y
_atom_site_fract_z
V1 0.1780 0.2500 0.2305
V2 0.1937 0.5307 0.2253
Cd1 0.0631 0.2500 0.7277
O1 0.0324 0.2500 0.2710
O2 0.0563 0.5866 0.2506
O3 0.2039 0.1142 0.9784
O4 0.2216 0.1113 0.4560
```

***

Version 2
Material: V3CdO7
Method: DFT, PBE with a Hubbard U
State: relaxed

Output
Theoretical density, g/cm3: 4.180
Magnetization, μB/cell: 12.000

Cell and atoms, written as CIF:
```
data_V3CdO7
_cell_length_a 10.6538
_cell_length_b 10.4629
_cell_length_c 5.3771
_cell_angle_alpha 90.00
_cell_angle_beta 90.00
_cell_angle_gamma 90.00
_space_group_name_H-M_alt 'P n m a'
_space_group_IT_number 62
loop_
_space_group_symop_operation_xyz
'x,y,z'
'-x,-y,-z'
'-x+1/2,-y,z+1/2'
'x+1/2,y,-z+1/2'
'x+1/2,-y+1/2,-z+1/2'
'-x+1/2,y+1/2,z+1/2'
'-x,y+1/2,-z'
'x,-y+1/2,z'
loop_
_atom_site_label
_atom_site_fract_x
_atom_site_fract_y
_atom_site_fract_z
V1 0.1861 0.0236 0.2162
V2 0.2143 0.2500 0.7075
Cd1 0.0784 0.7500 0.6876
O1 0.0391 0.0770 0.2310
O2 0.0590 0.2500 0.6898
O3 0.2196 0.6183 0.9755
O4 0.2228 0.6192 0.4516
```

***

Relative energy of each structure, in eV/atom: version 1 0.055; version 2 0.000.

***

Version 1
Material: KCeEuWO6
Method: DFT, PBE with a Hubbard U
State: relaxed

Output
Theoretical density, g/cm3: 6.638
Magnetization, μB/cell: 24.000

Cell and atoms, written as CIF:
```
data_KCeEuWO6
_cell_length_a 8.4874
_cell_length_b 8.4874
_cell_length_c 8.4874
-- stop --

Quote every line further up that contains the word "each".

Relative energy of each structure, in eV/atom: version 1 0.000; version 2 0.017.
Relative energy of each structure, in eV/atom: version 1 0.055; version 2 0.000.